Excerpt =
........
No. 1
Computed, not measured: a structure of composition C32H36IN3O2Pt at a distorted geometry, with ωB97M-V/def2-TZVPD.

The value obtained for the highest occupied orbital energy is -13.73 eV. The total energy comes out at -1972.128985 a.u. The net charge is +2.

XYZ file:
```
75
C32H36IN3O2Pt (ωB97M-V/def2-TZVPD)
C 2.4084 1.2558 -4.4368
C -0.5175 2.0597 -2.5797
C -2.7608 -3.8707 3.4709
H -0.7253 2.9351 -1.9697
H -2.3905 -3.1828 4.2343
N -4.3057 -1.9759 0.5997
C -0.3694 3.7198 1.3744
H -3.3218 -1.3754 -2.2797
H -1.4108 1.4285 -2.5546
C 0.0730 1.5332 0.3622
C 1.8773 -3.0882 3.4547
C 1.0717 3.3381 -4.0392
H 0.3984 3.4989 -0.5708
C -0.7908 3.0329 2.5304
C 0.8389 0.0187 -2.9414
C -0.3492 0.9020 1.5936
H 3.0184 -3.4678 5.2195
C 1.1188 0.4329 -4.3924
C -0.0509 1.2721 -4.9092
H -1.0764 5.5797 0.5639
C -0.2146 2.5015 -4.0155
C -0.4104 -3.1213 1.7867
H 0.6113 5.6079 1.0647
I 3.1375 -2.6165 -0.6079
H -0.9722 0.6824 -4.9173
C -1.7454 -2.7891 1.3535
N 0.6877 -2.6016 1.3422
H 5.2542 -3.1976 1.5765
H -4.9835 -2.9809 2.2681
C -3.5047 -0.7997 -1.3701
C 3.1279 -2.9291 1.4392
H -2.3039 0.6443 3.8133
H -3.7625 -4.1694 3.7813
H -4.5305 -0.4416 -1.3764
C -3.2770 -1.6349 -0.1469
C 2.0021 2.0546 -2.0929
H -0.6684 5.6577 2.2765
C -4.0927 -2.7310 1.7017
H 1.2266 -0.4668 -4.9987
C 1.9001 -2.8983 2.0764
H 0.9590 4.2325 -3.4167
H -0.3418 -0.1777 1.6479
H -1.2166 1.6407 4.7741
O -1.0040 -1.8254 -0.7028
H 2.6106 1.5654 -5.4641
H 1.9600 2.9316 -1.4484
H 1.6938 -0.5737 -2.5920
C 4.2710 -3.3709 3.4812
C -2.8620 -3.1521 2.1425
H 1.2672 3.6812 -5.0567
H -0.0702 -0.5886 -2.8982
C 2.2497 2.4887 -3.5438
H 5.1893 -3.5495 4.0244
H -1.1357 3.6237 3.3740
H -2.3373 -5.7685 3.1656
C -1.9664 -2.0689 0.1797
Pt 0.8067 -1.3248 -0.2711
N 0.4393 0.7503 -0.6345
H -1.0552 3.1011 -4.3684
H -2.8123 0.0456 -1.3862
C -0.3767 5.2258 1.3219
H -0.6609 0.0867 4.1513
C 0.6818 1.2416 -2.0295
C -1.2657 0.9644 3.9226
C 0.0501 2.9805 0.3044
H 0.1466 1.5821 -5.9373
H 3.2606 0.6553 -4.1036
C 4.3130 -3.1682 2.1089
H 2.8209 1.4259 -1.7281
O -1.8708 -4.9799 3.4618
H -0.3373 -3.8410 2.5953
C -0.7870 1.6307 2.6605
H 3.1682 3.0777 -3.5620
H 0.9403 -3.0317 3.9948
C 3.0547 -3.3278 4.1476
```

No. 2
Computed, not measured: a cluster of 2 separate species, C32H36N2O3 in total at a distorted geometry, with ωB97M-V/def2-TZVPD.

The value obtained for the highest occupied orbital energy is -5.11 eV. The total energy comes out at -1576.115574 a.u. The net charge is 0. The calculation puts the energy above the lowest of the compared OMol25 structures with the same formula, charge and spin at 54.8 kcal per mole.

XYZ file:
```
73
C32H36N2O3 (ωB97M-V/def2-TZVPD)
C 1.1137 -1.8707 -3.4088
C -1.6596 1.9196 -0.8289
H 2.9342 -5.4355 -5.8300
H -7.3910 4.0364 3.4554
C 3.8866 0.7990 2.6777
C -6.6024 3.3612 3.1276
H 1.6553 -4.9406 0.3977
H -4.8812 1.5968 2.4958
H -4.9021 5.1165 -0.0304
C -1.1105 0.6616 -0.6399
H 0.3276 0.6464 -2.2593
H -0.1029 2.9868 1.9196
H 3.5351 -0.8502 -3.9752
C 4.3122 -3.7792 -5.5746
H 1.0974 -3.9126 1.7459
C 1.8349 -2.9604 -1.1940
N 0.9409 -3.0724 -0.1690
H -0.0889 -4.6844 0.6792
C 1.5217 -1.6616 -1.9453
H 0.8570 -0.8852 -3.8296
C 4.4770 -2.4888 -5.0580
H 1.0402 -4.2677 -4.6853
O 0.3424 1.3938 4.7884
N 0.4604 -1.0837 -1.1141
C 1.7627 1.9519 2.2482
C 0.4623 2.3859 2.6347
H 3.8375 2.0962 -0.4799
C -1.4405 2.8819 4.1811
C -2.7800 2.4141 -0.0952
C -0.1386 2.1466 3.9184
C 3.4923 1.8327 0.5210
C -3.3511 1.7031 0.9960
H -1.6546 -3.1174 0.6885
C -4.4533 2.1861 1.6819
C 2.2316 2.2386 0.9323
H -1.9361 2.4422 5.0488
H -2.9362 0.7485 1.3196
C -0.0814 0.1147 -1.3929
H 5.1392 -4.2753 -6.0915
C -4.9976 3.4456 1.3283
C 0.2230 -1.3288 1.3852
H 0.2089 -2.4948 -3.4293
H 5.3151 0.7778 1.0490
H 2.4222 -1.0181 -1.9125
C 2.2058 -2.5199 -4.2279
C 3.0755 -4.4239 -5.4429
H -2.1132 2.8376 3.3168
H -7.0285 2.3941 2.8233
C 2.6371 1.2231 3.1097
H -0.3804 -0.4290 1.5231
C -4.4494 4.1649 0.2310
H -5.8679 3.2132 3.9330
C -3.3743 3.6541 -0.4533
H -1.2568 2.5557 -1.6210
C 0.0266 -1.9520 -0.0044
H -1.5121 -3.0356 -1.0955
........

Request =
It remains to write out everything further up character by character.

Solution =
No. 1
Computed, not measured: a structure of composition C32H36IN3O2Pt at a distorted geometry, with ωB97M-V/def2-TZVPD.

The value obtained for the highest occupied orbital energy is -13.73 eV. The total energy comes out at -1972.128985 a.u. The net charge is +2.

XYZ file:
```
75
C32H36IN3O2Pt (ωB97M-V/def2-TZVPD)
C 2.4084 1.2558 -4.4368
C -0.5175 2.0597 -2.5797
C -2.7608 -3.8707 3.4709
H -0.7253 2.9351 -1.9697
H -2.3905 -3.1828 4.2343
N -4.3057 -1.9759 0.5997
C -0.3694 3.7198 1.3744
H -3.3218 -1.3754 -2.2797
H -1.4108 1.4285 -2.5546
C 0.0730 1.5332 0.3622
C 1.8773 -3.0882 3.4547
C 1.0717 3.3381 -4.0392
H 0.3984 3.4989 -0.5708
C -0.7908 3.0329 2.5304
C 0.8389 0.0187 -2.9414
C -0.3492 0.9020 1.5936
H 3.0184 -3.4678 5.2195
C 1.1188 0.4329 -4.3924
C -0.0509 1.2721 -4.9092
H -1.0764 5.5797 0.5639
C -0.2146 2.5015 -4.0155
C -0.4104 -3.1213 1.7867
H 0.6113 5.6079 1.0647
I 3.1375 -2.6165 -0.6079
H -0.9722 0.6824 -4.9173
C -1.7454 -2.7891 1.3535
N 0.6877 -2.6016 1.3422
H 5.2542 -3.1976 1.5765
H -4.9835 -2.9809 2.2681
C -3.5047 -0.7997 -1.3701
C 3.1279 -2.9291 1.4392
H -2.3039 0.6443 3.8133
H -3.7625 -4.1694 3.7813
H -4.5305 -0.4416 -1.3764
C -3.2770 -1.6349 -0.1469
C 2.0021 2.0546 -2.0929
H -0.6684 5.6577 2.2765
C -4.0927 -2.7310 1.7017
H 1.2266 -0.4668 -4.9987
C 1.9001 -2.8983 2.0764
H 0.9590 4.2325 -3.4167
H -0.3418 -0.1777 1.6479
H -1.2166 1.6407 4.7741
O -1.0040 -1.8254 -0.7028
H 2.6106 1.5654 -5.4641
H 1.9600 2.9316 -1.4484
H 1.6938 -0.5737 -2.5920
C 4.2710 -3.3709 3.4812
C -2.8620 -3.1521 2.1425
H 1.2672 3.6812 -5.0567
H -0.0702 -0.5886 -2.8982
C 2.2497 2.4887 -3.5438
H 5.1893 -3.5495 4.0244
H -1.1357 3.6237 3.3740
H -2.3373 -5.7685 3.1656
C -1.9664 -2.0689 0.1797
Pt 0.8067 -1.3248 -0.2711
N 0.4393 0.7503 -0.6345
H -1.0552 3.1011 -4.3684
H -2.8123 0.0456 -1.3862
C -0.3767 5.2258 1.3219
H -0.6609 0.0867 4.1513
C 0.6818 1.2416 -2.0295
C -1.2657 0.9644 3.9226
C 0.0501 2.9805 0.3044
H 0.1466 1.5821 -5.9373
H 3.2606 0.6553 -4.1036
C 4.3130 -3.1682 2.1089
H 2.8209 1.4259 -1.7281
O -1.8708 -4.9799 3.4618
H -0.3373 -3.8410 2.5953
C -0.7870 1.6307 2.6605
H 3.1682 3.0777 -3.5620
H 0.9403 -3.0317 3.9948
C 3.0547 -3.3278 4.1476
```

No. 2
Computed, not measured: a cluster of 2 separate species, C32H36N2O3 in total at a distorted geometry, with ωB97M-V/def2-TZVPD.

The value obtained for the highest occupied orbital energy is -5.11 eV. The total energy comes out at -1576.115574 a.u. The net charge is 0. The calculation puts the energy above the lowest of the compared OMol25 structures with the same formula, charge and spin at 54.8 kcal per mole.

XYZ file:
```
73
C32H36N2O3 (ωB97M-V/def2-TZVPD)
C 1.1137 -1.8707 -3.4088
C -1.6596 1.9196 -0.8289
H 2.9342 -5.4355 -5.8300
H -7.3910 4.0364 3.4554
C 3.8866 0.7990 2.6777
C -6.6024 3.3612 3.1276
H 1.6553 -4.9406 0.3977
H -4.8812 1.5968 2.4958
H -4.9021 5.1165 -0.0304
C -1.1105 0.6616 -0.6399
H 0.3276 0.6464 -2.2593
H -0.1029 2.9868 1.9196
H 3.5351 -0.8502 -3.9752
C 4.3122 -3.7792 -5.5746
H 1.0974 -3.9126 1.7459
C 1.8349 -2.9604 -1.1940
N 0.9409 -3.0724 -0.1690
H -0.0889 -4.6844 0.6792
C 1.5217 -1.6616 -1.9453
H 0.8570 -0.8852 -3.8296
C 4.4770 -2.4888 -5.0580
H 1.0402 -4.2677 -4.6853
O 0.3424 1.3938 4.7884
N 0.4604 -1.0837 -1.1141
C 1.7627 1.9519 2.2482
C 0.4623 2.3859 2.6347
H 3.8375 2.0962 -0.4799
C -1.4405 2.8819 4.1811
C -2.7800 2.4141 -0.0952
C -0.1386 2.1466 3.9184
C 3.4923 1.8327 0.5210
C -3.3511 1.7031 0.9960
H -1.6546 -3.1174 0.6885
C -4.4533 2.1861 1.6819
C 2.2316 2.2386 0.9323
H -1.9361 2.4422 5.0488
H -2.9362 0.7485 1.3196
C -0.0814 0.1147 -1.3929
H 5.1392 -4.2753 -6.0915
C -4.9976 3.4456 1.3283
C 0.2230 -1.3288 1.3852
H 0.2089 -2.4948 -3.4293
H 5.3151 0.7778 1.0490
H 2.4222 -1.0181 -1.9125
C 2.2058 -2.5199 -4.2279
C 3.0755 -4.4239 -5.4429
H -2.1132 2.8376 3.3168
H -7.0285 2.3941 2.8233
C 2.6371 1.2231 3.1097
H -0.3804 -0.4290 1.5231
C -4.4494 4.1649 0.2310
H -5.8679 3.2132 3.9330
C -3.3743 3.6541 -0.4533
H -1.2568 2.5557 -1.6210
C 0.0266 -1.9520 -0.0044
H -1.5121 -3.0356 -1.0955